Transcribe all of the rows underneath unchanged.

=====
Entry 1:
{
  "formula": "C6H12OP",
  "method": "ωB97M-V/def2-TZVPD",
  "multiplicity": 1,
  "fmax_ha_per_bohr": 0.07299,
  "e_lumo_ev": -6.34,
  "mol_weight_g_mol": 131.1,
  "total_charge": 1,
  "e_tot_ev": -17742.6526,
  "homo_energy_ev": -13.70,
  "de_lowest_kj_mol": 218.5,
  "species": ["C", "C", "C", "C", "C", "C", "O", "P", "H", "H", "H", "H", "H", "H", "H", "H", "H", "H", "H", "H"],
  "xyz": [[0.158126, 0.598563, -1.125705], [0.018281, 1.040719, 0.108679], [-0.382955, -0.814949, -1.470127], [-0.694376, 0.172228, 1.116606], [-3.697013, -0.158460, 0.105558], [3.560612, -0.131712, 0.675471], [-2.785734, -0.857697, -0.416657], [-1.284043, -1.367487, 0.063090], [0.645713, 1.083635, -1.901453], [0.380452, 1.857512, 0.561561], [-1.067955, -0.834068, -2.313460], [0.494422, -1.371441, -1.830945], [-0.095874, -0.211439, 1.939645], [-1.465090, 0.854395, 1.379544], [-3.646368, 0.387323, 1.070507], [3.907852, 0.792907, 0.201166], [-4.510606, 0.131741, -0.696944], [2.626386, 0.036277, 1.201966], [4.449030, -0.251394, 1.274077], [3.389140, -0.956658, 0.057417]],
  "forces_ev_per_angstrom": [[-1.3180, -1.5046, 0.6113], [-0.5818, -3.6159, -0.7848], [0.4369, 1.3712, 0.4003], [-0.0304, -1.4615, -2.2459], [-0.4808, 0.9651, -3.1039], [0.5755, 1.8362, 0.6439], [-2.8532, 1.9506, 0.2785], [3.0644, -0.1441, 1.5366], [0.8910, 1.1116, -1.2027], [1.5340, 3.3334, 0.7882], [-0.2468, 0.1669, -0.1081], [-0.4173, -0.5631, 0.6691], [-0.0896, 0.3044, 0.1676], [-1.2467, -0.1100, 1.2234], [0.2237, -0.8674, -0.3001], [-0.8461, -0.1925, -0.7867], [1.1268, -0.9287, 2.0688], [0.2603, 0.2476, 0.5499], [-0.2017, -0.8497, 0.9414], [0.2000, -1.0494, -1.3467]]
}

=====

Entry 2:
{
  "formula": "C4H9NO3",
  "method": "ωB97M-V/def2-TZVPD",
  "multiplicity": 1,
  "fmax_ha_per_bohr": 0.06798,
  "e_lumo_ev": 0.52,
  "mol_weight_g_mol": 119.1,
  "total_charge": 0,
  "e_tot_ev": -11923.7038,
  "homo_energy_ev": -9.09,
  "de_lowest_kj_mol": 370.3,
  "species": ["C", "C", "O", "O", "H", "H", "H", "H", "C", "C", "N", "O", "H", "H", "H", "H", "H"],
  "xyz": [[0.862791, -0.037820, 0.965900], [-1.055362, -1.322335, 0.937950], [2.121650, -0.491827, 0.540074], [-1.852147, -1.225150, 1.830542], [2.190819, -1.353343, 0.113035], [0.982489, 1.037612, 1.127070], [0.746679, -0.361735, 2.004171], [-0.346979, -2.147281, 0.764809], [-0.852874, 1.597737, -0.446386], [-0.337553, 0.182062, -0.558519], [0.350110, -0.088688, -1.706741], [-1.364686, -0.708375, -0.341935], [0.230241, -1.011614, -2.102080], [1.319489, 0.150702, -1.845374], [-1.603885, 1.769258, -1.219201], [-0.045010, 2.315293, -0.582673], [-1.345772, 1.695504, 0.519358]],
  "forces_ev_per_angstrom": [[0.2806, 1.7172, -1.2274], [-3.1726, -0.7851, -1.2400], [0.7820, 0.2363, -0.5072], [1.5301, 0.1001, -0.6266], [-0.7185, 0.0203, 0.2463], [0.2334, 0.0363, -0.1992], [-0.9850, -0.6082, -0.2329], [0.2556, 0.4581, 0.4063], [0.1088, -0.1716, 0.1908], [1.1482, 0.2911, 2.8953], [0.7893, -1.0966, -1.9474], [-0.0058, -1.0291, 1.1522], [-0.3746, -0.0561, 0.3662], [-0.0509, 0.6909, 0.5526], [0.0655, -0.1436, -0.0704], [-0.0292, 0.0707, 0.1615], [0.1429, 0.2691, 0.0796]]
}

=====

Entry 3:
{
  "formula": "C2F3I",
  "method": "ωB97M-V/def2-TZVPD",
  "multiplicity": 1,
  "fmax_ha_per_bohr": 0.03713,
  "e_lumo_ev": -0.30,
  "smiles": "FC(F)=C(F)I",
  "mol_weight_g_mol": 207.9,
  "total_charge": 0,
  "e_tot_ev": -18325.2919,
  "homo_energy_ev": -9.54,
  "de_lowest_kj_mol": 0.0,
  "species": ["C", "C", "F", "F", "F", "I"],
  "xyz": [[-0.625721, -0.377060, 0.042129], [0.381153, 0.532296, 0.022460], [-0.407736, -1.699908, -0.052835], [-1.925893, -0.192524, 0.027144], [0.102949, 1.830392, -0.040291], [2.475250, -0.093196, 0.001392]],
  "forces_ev_per_angstrom": [[1.4011, -0.5369, -0.5552], [-0.3652, -1.8077, -0.1048], [0.2884, 0.9583, 0.3387], [0.2699, 0.7982, 0.1074], [0.2072, -0.0450, 0.1941], [-1.8014, 0.6330, 0.0198]]
}

=====

Entry 4:
{
  "formula": "CHF3O2S",
  "method": "ωB97M-V/def2-TZVPD",
  "multiplicity": 1,
  "fmax_ha_per_bohr": 0.05980,
=====

Entry 1:
{
  "formula": "C6H12OP",
  "method": "ωB97M-V/def2-TZVPD",
  "multiplicity": 1,
  "fmax_ha_per_bohr": 0.07299,
  "e_lumo_ev": -6.34,
  "mol_weight_g_mol": 131.1,
  "total_charge": 1,
  "e_tot_ev": -17742.6526,
  "homo_energy_ev": -13.70,
  "de_lowest_kj_mol": 218.5,
  "species": ["C", "C", "C", "C", "C", "C", "O", "P", "H", "H", "H", "H", "H", "H", "H", "H", "H", "H", "H", "H"],
  "xyz": [[0.158126, 0.598563, -1.125705], [0.018281, 1.040719, 0.108679], [-0.382955, -0.814949, -1.470127], [-0.694376, 0.172228, 1.116606], [-3.697013, -0.158460, 0.105558], [3.560612, -0.131712, 0.675471], [-2.785734, -0.857697, -0.416657], [-1.284043, -1.367487, 0.063090], [0.645713, 1.083635, -1.901453], [0.380452, 1.857512, 0.561561], [-1.067955, -0.834068, -2.313460], [0.494422, -1.371441, -1.830945], [-0.095874, -0.211439, 1.939645], [-1.465090, 0.854395, 1.379544], [-3.646368, 0.387323, 1.070507], [3.907852, 0.792907, 0.201166], [-4.510606, 0.131741, -0.696944], [2.626386, 0.036277, 1.201966], [4.449030, -0.251394, 1.274077], [3.389140, -0.956658, 0.057417]],
  "forces_ev_per_angstrom": [[-1.3180, -1.5046, 0.6113], [-0.5818, -3.6159, -0.7848], [0.4369, 1.3712, 0.4003], [-0.0304, -1.4615, -2.2459], [-0.4808, 0.9651, -3.1039], [0.5755, 1.8362, 0.6439], [-2.8532, 1.9506, 0.2785], [3.0644, -0.1441, 1.5366], [0.8910, 1.1116, -1.2027], [1.5340, 3.3334, 0.7882], [-0.2468, 0.1669, -0.1081], [-0.4173, -0.5631, 0.6691], [-0.0896, 0.3044, 0.1676], [-1.2467, -0.1100, 1.2234], [0.2237, -0.8674, -0.3001], [-0.8461, -0.1925, -0.7867], [1.1268, -0.9287, 2.0688], [0.2603, 0.2476, 0.5499], [-0.2017, -0.8497, 0.9414], [0.2000, -1.0494, -1.3467]]
}

=====

Entry 2:
{
  "formula": "C4H9NO3",
  "method": "ωB97M-V/def2-TZVPD",
  "multiplicity": 1,
  "fmax_ha_per_bohr": 0.06798,
  "e_lumo_ev": 0.52,
  "mol_weight_g_mol": 119.1,
  "total_charge": 0,
  "e_tot_ev": -11923.7038,
  "homo_energy_ev": -9.09,
  "de_lowest_kj_mol": 370.3,
  "species": ["C", "C", "O", "O", "H", "H", "H", "H", "C", "C", "N", "O", "H", "H", "H", "H", "H"],
  "xyz": [[0.862791, -0.037820, 0.965900], [-1.055362, -1.322335, 0.937950], [2.121650, -0.491827, 0.540074], [-1.852147, -1.225150, 1.830542], [2.190819, -1.353343, 0.113035], [0.982489, 1.037612, 1.127070], [0.746679, -0.361735, 2.004171], [-0.346979, -2.147281, 0.764809], [-0.852874, 1.597737, -0.446386], [-0.337553, 0.182062, -0.558519], [0.350110, -0.088688, -1.706741], [-1.364686, -0.708375, -0.341935], [0.230241, -1.011614, -2.102080], [1.319489, 0.150702, -1.845374], [-1.603885, 1.769258, -1.219201], [-0.045010, 2.315293, -0.582673], [-1.345772, 1.695504, 0.519358]],
  "forces_ev_per_angstrom": [[0.2806, 1.7172, -1.2274], [-3.1726, -0.7851, -1.2400], [0.7820, 0.2363, -0.5072], [1.5301, 0.1001, -0.6266], [-0.7185, 0.0203, 0.2463], [0.2334, 0.0363, -0.1992], [-0.9850, -0.6082, -0.2329], [0.2556, 0.4581, 0.4063], [0.1088, -0.1716, 0.1908], [1.1482, 0.2911, 2.8953], [0.7893, -1.0966, -1.9474], [-0.0058, -1.0291, 1.1522], [-0.3746, -0.0561, 0.3662], [-0.0509, 0.6909, 0.5526], [0.0655, -0.1436, -0.0704], [-0.0292, 0.0707, 0.1615], [0.1429, 0.2691, 0.0796]]
}

=====

Entry 3:
{
  "formula": "C2F3I",
  "method": "ωB97M-V/def2-TZVPD",
  "multiplicity": 1,
  "fmax_ha_per_bohr": 0.03713,
  "e_lumo_ev": -0.30,
  "smiles": "FC(F)=C(F)I",
  "mol_weight_g_mol": 207.9,
  "total_charge": 0,
  "e_tot_ev": -18325.2919,
  "homo_energy_ev": -9.54,
  "de_lowest_kj_mol": 0.0,
  "species": ["C", "C", "F", "F", "F", "I"],
  "xyz": [[-0.625721, -0.377060, 0.042129], [0.381153, 0.532296, 0.022460], [-0.407736, -1.699908, -0.052835], [-1.925893, -0.192524, 0.027144], [0.102949, 1.830392, -0.040291], [2.475250, -0.093196, 0.001392]],
  "forces_ev_per_angstrom": [[1.4011, -0.5369, -0.5552], [-0.3652, -1.8077, -0.1048], [0.2884, 0.9583, 0.3387], [0.2699, 0.7982, 0.1074], [0.2072, -0.0450, 0.1941], [-1.8014, 0.6330, 0.0198]]
}

=====

Entry 4:
{
  "formula": "CHF3O2S",
  "method": "ωB97M-V/def2-TZVPD",
  "multiplicity": 1,
  "fmax_ha_per_bohr": 0.05980,